Jennifer A Widmer
May 2023
Jennifer A
Advocate Sherman Hospital
United States
-- Data records, kept here for reference --
/*
Material: V3O5F
Method: DFT, PBE+U
State: optimized geometry

Cell: 5.521 5.521 7.398 Å, 69.82 69.82 71.84°
Fractional positions:
O1 0.262 0.262 0.542
O2 0.534 0.136 0.164
O3 0.603 0.603 0.192
O4 0.466 0.864 0.836
O5 0.864 0.466 0.836
O6 0.397 0.397 0.808
O7 0.136 0.534 0.164
O8 0.800 0.200 0.500
O9 0.738 0.738 0.458
O10 0.200 0.800 0.500
V1 0.811 0.811 0.175
V2 0.174 0.174 0.354
V3 0.189 0.189 0.825
V4 0.826 0.826 0.646
V5 0.500 0.500 0.500
V6 0.500 0.500 0.000
F1 0.938 0.938 0.870
F2 0.062 0.062 0.130

Results
- energy relative to the lowest polymorph listed for this composition (meV/atom) = 46
- energy relative to the elements (eV per atom) = -2.56
- theoretical density (g cm⁻³) = 4.3
- space group = C2/m, No. 12
- magnetization (Bohr magnetons per cell) = 8.00

---

Material: MgTiMn3O8
Method: DFT, PBE+U
State: optimized geometry

Cell: 6.081 5.901 5.985 Å, 60.46 56.91 60.98°
Fractional positions:
O1 0.838 0.385 0.391
O2 0.371 0.406 0.817
O3 0.412 0.865 0.859
O4 0.880 0.399 0.871
O5 0.370 0.851 0.380
O6 0.370 0.400 0.379
O7 0.879 0.844 0.433
O8 0.880 0.850 0.871
Mg1 0.125 0.125 0.625
Mn1 0.625 0.125 0.625
Mn2 0.625 0.625 0.625
Mn3 0.125 0.625 0.625
Ti1 0.625 0.625 0.125

Results
- energy relative to the lowest polymorph listed for this composition (meV/atom) = 60
- energy relative to the elements (eV per atom) = -2.35
- theoretical density (g cm⁻³) = 4.1
- space group = C2/m, No. 12
- magnetization (Bohr magnetons per cell) = 11.00

---

Material: Pr2MgV4O12
Method: DFT, PBE+U
State: optimized geometry

Cell: 5.364 5.500 7.588 Å, 90.05 90.72 90.63°
Fractional positions:
O1 0.568 0.004 0.741
O2 0.723 0.288 0.452
O3 0.079 0.459 0.245
O4 0.231 0.215 0.963
O5 0.928 0.505 0.757
O6 0.797 0.807 0.441
O7 0.791 0.795 0.052
O8 0.282 0.723 0.966
O9 0.390 0.987 0.255
O10 0.736 0.263 0.059
O11 0.199 0.199 0.532
O12 0.273 0.706 0.532
Pr1 0.009 0.960 0.750
Pr2 0.513 0.543 0.245
V1 0.502 0.012 0.503
V2 0.001 0.499 0.992
V3 0.013 0.496 0.500
V4 0.491 0.008 0.000
Mg1 0.981 0.056 0.256

Results
- energy relative to the elements (eV per atom) = -2.85
- theoretical density (g cm⁻³) = 5.2
- space group = P1, No. 1
- magnetization (Bohr magnetons per cell) = 4.00

---

Please write out number 3 again, unchanged.
Material: Pr2MgV4O12
Method: DFT, PBE+U
State: optimized geometry

Cell: 5.364 5.500 7.588 Å, 90.05 90.72 90.63°
Fractional positions:
O1 0.568 0.004 0.741
O2 0.723 0.288 0.452
O3 0.079 0.459 0.245
O4 0.231 0.215 0.963
O5 0.928 0.505 0.757
O6 0.797 0.807 0.441
O7 0.791 0.795 0.052
O8 0.282 0.723 0.966
O9 0.390 0.987 0.255
O10 0.736 0.263 0.059
O11 0.199 0.199 0.532
O12 0.273 0.706 0.532
Pr1 0.009 0.960 0.750
Pr2 0.513 0.543 0.245
V1 0.502 0.012 0.503
V2 0.001 0.499 0.992
V3 0.013 0.496 0.500
V4 0.491 0.008 0.000
Mg1 0.981 0.056 0.256

Results
- energy relative to the elements (eV per atom) = -2.85
- theoretical density (g cm⁻³) = 5.2
- space group = P1, No. 1
- magnetization (Bohr magnetons per cell) = 4.00

* * * * *

# 1
*/



[Calculated crystals, as found in the file]
-- begin --
(1)
A plane-wave DFT calculation with meta-GGA r2SCAN was carried out for a relaxed structure of DyErRu2.

Unit cell a=4.756 b=4.756 c=4.756 alpha=60.00 beta=60.00 gamma=60.00
Sites, in units of the cell vectors:
Er 0.000 0.000 0.000
Dy 0.500 0.500 0.500
Ru 0.250 0.250 0.250
Ru 0.750 0.750 0.750


(2)
A plane-wave DFT calculation with meta-GGA r2SCAN was carried out for a relaxed structure of YLuRh2.

Unit cell a=4.768 b=4.768 c=4.768 alpha=60.00 beta=60.00 gamma=60.00
Sites, in units of the cell vectors:
Lu 0.500 0.500 0.500
Rh 0.250 0.250 0.250
Y 0.000 0.000 0.000
Rh 0.750 0.750 0.750


(3)
A plane-wave DFT calculation with meta-GGA r2SCAN was carried out for a relaxed structure of CaZnPb.

Unit cell a=4.729 b=4.729 c=7.709 alpha=90.00 beta=90.00 gamma=120.00
Sites, in units of the cell vectors:
Zn 0.333 0.667 0.803
Ca 0.000 0.000 0.990
Pb 0.333 0.667 0.207
Pb 0.667 0.333 0.707
Zn 0.667 0.333 0.303
Ca 0.000 0.000 0.490


(4)
A plane-wave DFT calculation with meta-GGA r2SCAN was carried out for a relaxed structure of Nb3S4.

Output
ΔE to the lowest computed polymorph = 0.000 eV per atom

Unit cell a=9.675 b=9.675 c=3.410 alpha=90.00 beta=90.00 gamma=120.00
Sites, in units of the cell vectors:
Nb 0.888 0.373 0.250
S 0.346 0.288 0.250
S 0.712 0.058 0.250
S 0.058 0.346 0.750
Nb 0.627 0.515 0.250
S 0.333 0.667 0.250
S 0.288 0.942 0.750
Nb 0.112 0.627 0.750
S 0.654 0.712 0.750
Nb 0.515 0.888 0.750
S 0.942 0.654 0.250
S 0.667 0.333 0.750
Nb 0.373 0.485 0.750
Nb 0.485 0.112 0.250


(5)
A plane-wave DFT calculation with meta-GGA r2SCAN was carried out for a relaxed structure of NiP4O11.

Unit cell a=8.011 b=9.363 c=13.135 alpha=56.35 beta=90.00 gamma=90.00
Sites, in units of the cell vectors:
P 0.125 0.330 0.958
O 0.960 0.774 0.923
O 0.948 0.831 0.268
Ni 0.014 0.753 0.780
O 0.987 0.467 0.663
O 0.569 0.750 0.620
P 0.385 0.864 0.824
O 0.448 0.169 0.232
O 0.179 0.275 0.480
O 0.931 0.750 0.120
Ni 0.486 0.753 0.280
O 0.395 0.693 0.964
O 0.513 0.467 0.163
P 0.115 0.864 0.324
P 0.615 0.136 0.176
O 0.487 0.533 0.837
O 0.213 0.365 0.210
Ni 0.514 0.247 0.720
O 0.895 0.307 0.536
O 0.460 0.226 0.577
O 0.918 0.988 0.668
O 0.787 0.635 0.790
O 0.431 0.250 0.380
O 0.383 0.518 0.380
P 0.500 0.330 0.928
O 0.571 0.246 0.872
O 0.429 0.754 0.128
O 0.679 0.725 0.020
P 0.875 0.670 0.042
O 0.241 0.851 0.763
P 0.375 0.330 0.458
P 0.388 0.314 0.245
O 0.821 0.725 0.520
O 0.741 0.149 0.737
O 0.040 0.226 0.077
O 0.929 0.246 0.372
O 0.418 0.012 0.832
O 0.069 0.250 0.880
O 0.013 0.533 0.337
P 0.500 0.670 0.072
O 0.540 0.774 0.423
O 0.321 0.275 0.980
P 0.625 0.670 0.542
O 0.552 0.831 0.768
O 0.287 0.365 0.710
O 0.105 0.693 0.464
O 0.259 0.851 0.263
O 0.071 0.754 0.628
O 0.117 0.518 0.880
O 0.052 0.169 0.732
O 0.883 0.482 0.120
O 0.617 0.482 0.620
P 0.885 0.136 0.676
Ni 0.986 0.247 0.220
P 0.612 0.686 0.755
O 0.759 0.149 0.237
O 0.713 0.635 0.290
O 0.605 0.307 0.036
O 0.582 0.988 0.168
O 0.082 0.012 0.332
P 0.112 0.314 0.745
P 0.000 0.330 0.428
P 0.000 0.670 0.572
P 0.888 0.686 0.255
-- stop --

This was a nurse that was living the mission of the DAISY statue - 'The Healer's Touch' by making that human-to-human connection.
I was consulted as part of the Ethics team by Jennifer and the primary care physician to see Jennifer's patient that was having a difficult time with end-of-life decision-making. The first thing that I noticed when speaking with the patient was the care and attention that Jen was giving to her patient. She sat beside them the entire time that the patient and I spoke about their goals of care. In the middle of what was likely a very busy shift, she made sure that her patient knew they were not alone and that they were supported by not only the family but members of the care team that clearly cared about their well-being not just physical, but emotional, and spiritual wellbeing. Throughout our discussion, Jen held the patient's hand and offered her comfort where she could. It could be easy to extend that comfort and that healing touch to her patient, but it didn't stop there. When it was time to talk with the Healthcare Power of Attorney and family member, Jen did not miss a beat. She sat next to the family member and offered her support and healing touch. In the brief time that I spent with Jen, I took a couple of things away from the interaction. Here was a nurse that not only cares for her patient but all the members of the patient's family. It was important to Jen that both her patient and their family knew they were not alone, that her support and that of the care team, that they felt comfort, and humanity in a very difficult time. When you looked into Jen's eyes it was easy to see how important it was to her that her patient and family felt those things. This was a nurse that embodies Sherman LOVE, that was so unselfishly willing to give of herself to show that level of care, compassion, and empathy, to be vulnerable and show how much she cared not just with words but her actions. This was a nurse that was living the mission of the DAISY statue - 'The Healer's Touch' by making that human-to-human connection. As I finished my portion of the ethics consult, I thought to myself, this patient and family are so lucky to have a nurse like Jen that is willing to go the extra mile to ensure the patient has the highest level of care and that the patient feels cared for and loved. Not only is the patient lucky, but we as Sherman Hospital and community are lucky to have her be a part of our team and provide this same level of compassionate care to our patients every shift. I for one knew deep down that if I was a patient or my family was in the hospital - I'd ask for Jen to be my nurse because she truly cares and shows it and that is what every patient and family needs, not just in the easy times, but the difficult times too. Jen -thank you for being an amazing nurse and giving the very best care to our patients!